**Excerpt**
~~~
[1]
First-principles (GGA-PBE) data for a relaxed structure of AlAgAu4, as listed in Alexandria.

The calculation puts the energy of formation from the pure elements at -0.160 eV per atom. For the calculated total energy, the calculation gives -3.44 eV/atom. The calculation puts the energy above the lowest structure with this stoichiometry at 0.0 meV per atom.

Unit cell a=4.2491 b=24.5830 c=4.2500 alpha=90.00 beta=90.00 gamma=90.00
Space group Cmmm (No. 65)
Unique sites:
Al1 0.0000 0.0654 0.0000 x4
Ag1 0.0000 0.2907 0.5000 x4
Au1 0.0000 0.0000 0.5000 x2
Au2 0.0000 0.1256 0.5000 x4
Au3 0.0000 0.2092 0.0000 x4
Au4 0.0000 0.3740 0.0000 x4
Au5 0.0000 0.5000 0.0000 x2

[2]
First-principles (GGA-PBE) data for a relaxed structure of LiFeC2, as listed in Alexandria.

The calculation puts the energy of formation from the pure elements at 0.736 eV per atom. For the calculated total energy, the calculation gives -6.47 eV/atom. The calculation puts the energy above the lowest structure with this stoichiometry at 0.0 meV per atom.

Unit cell a=4.2894 b=4.2894 c=11.0539 alpha=90.00 beta=90.00 gamma=90.00
Space group I4_1/amd (No. 141, origin choice 2)
Unique sites:
Li1 0.0000 0.2500 0.3750 x4
Fe1 0.0000 0.2500 0.8750 x4
C1 0.0000 0.0000 0.0000 x8

[3]
First-principles (GGA-PBE) data for a relaxed structure of CoRu4Pb, as listed in Alexandria.

The calculation puts the energy of formation from the pure elements at 0.753 eV per atom. For the calculated total energy, the calculation gives -7.23 eV/atom.

Unit cell a=7.3198 b=7.3198 c=7.3198 alpha=90.00 beta=90.00 gamma=90.00
Space group F-43m (No. 216)
Unique sites:
Co1 0.0000 0.0000 0.0000 x4
Ru1 0.1254 0.1254 0.6254 x16
Pb1 0.2500 0.2500 0.2500 x4

[4]
First-principles (GGA-PBE) data for a relaxed structure of BaP2Au, as listed in Alexandria.

The calculation puts the energy of formation from the pure elements at -0.305 eV per atom. For the calculated total energy, the calculation gives -4.31 eV/atom. The calculation puts the energy above the lowest structure with this stoichiometry at 270.4 meV per atom.

Unit cell a=10.3807 b=3.5144 c=5.8303 alpha=90.00 beta=115.41 gamma=90.00
Space group Cm (No. 8)
Unique sites:
Ba1 0.0000 0.0000 0.0000 x2
P1 0.0476 0.5000 0.5474 x2
P2 0.2079 0.0000 0.6062 x2
Au1 0.3131 0.5000 0.3583 x2

[5]
First-principles (GGA-PBE) data for a relaxed structure of ScPdAu2, as listed in Alexandria.

The calculation puts the energy of formation from the pure elements at -0.350 eV per atom. For the calculated total energy, the calculation gives -4.87 eV/atom.

Unit cell a=7.5573 b=7.5573 c=5.4571 alpha=90.00 beta=90.00 gamma=90.00
Space group I-42d (No. 122)
Unique sites:
Sc1 0.0000 0.0000 0.0000 x4
Pd1 0.0000 0.0000 0.5000 x4
Au1 0.2460 0.2500 0.6250 x8

[6]
First-principles (GGA-PBE) data for a relaxed structure of MnIn2Ru2, as listed in Alexandria.

The calculation puts the energy of formation from the pure elements at 0.716 eV per atom. For the calculated total energy, the calculation gives -5.92 eV/atom. The calculation puts the energy above the lowest structure with this stoichiometry at 383.6 meV per atom.

Unit cell a=7.4435 b=7.4435 c=3.1015 alpha=90.00 beta=90.00 gamma=90.00
Space group P4/mbm (No. 127)
Unique sites:
Mn1 0.0000 0.0000 0.0000 x2
In1 0.1412 0.3588 0.0000 x4
Ru1 0.1597 0.6597 0.5000 x4

[7]
First-principles (GGA-PBE) data for a relaxed structure of TbOsF, as listed in Alexandria.

For the calculated total energy, the calculation gives -7.50 eV/atom.

Unit cell a=3.0789 b=3.0789 c=9.7499 alpha=90.00 beta=90.00 gamma=90.00
Space group P4/nmm (No. 129, origin choice 2)
Unique sites:
Tb1 0.2500 0.2500 0.1993 x2
Os1 0.2500 0.2500 0.5766 x2
F1 0.2500 0.2500 0.9251 x2

[8]
First-principles (GGA-PBE) data for a relaxed structure of Er3Pd2, as listed in Alexandria.
~~~

**To do**
What is needed: filter the rows above: keep the lines with the word "First-principles".

**Solution**
First-principles (GGA-PBE) data for a relaxed structure of AlAgAu4, as listed in Alexandria.
First-principles (GGA-PBE) data for a relaxed structure of LiFeC2, as listed in Alexandria.
First-principles (GGA-PBE) data for a relaxed structure of CoRu4Pb, as listed in Alexandria.
First-principles (GGA-PBE) data for a relaxed structure of BaP2Au, as listed in Alexandria.
First-principles (GGA-PBE) data for a relaxed structure of ScPdAu2, as listed in Alexandria.
First-principles (GGA-PBE) data for a relaxed structure of MnIn2Ru2, as listed in Alexandria.
First-principles (GGA-PBE) data for a relaxed structure of TbOsF, as listed in Alexandria.
First-principles (GGA-PBE) data for a relaxed structure of Er3Pd2, as listed in Alexandria.